Episode 17 | Tina Muir
Calculated molecules, kept here for reference
=====
Entry 1:
# C39H54BNO15

A 3-piece molecular cluster, C39H54BNO15 overall in a non-equilibrium geometry (ωB97M-V/def2-TZVPD, OMol25).

Atoms and positions in Å:
C (-6.84922, 1.86084, -9.86651)
C (-8.32321, 1.43880, -9.87465)
C (-8.58207, 0.16600, -9.07033)
C (-8.23561, 0.25342, -7.57515)
C (-8.51980, 1.62020, -6.92308)
C (-8.77134, 1.50558, -5.41433)
C (-7.46886, 1.64503, -4.58986)
C (-7.70077, 2.28621, -3.20534)
C (-6.76198, 3.47274, -2.93363)
C (-5.35544, 3.03204, -2.46418)
C (-4.81918, 3.94332, -1.34599)
C (-5.13643, 3.37495, 0.05474)
C (-4.00482, 3.61949, 1.07410)
C (-3.02620, 2.41616, 1.14745)
C (-2.42523, 2.25661, 2.55329)
C (-1.10027, 3.01631, 2.69964)
C (0.04497, 2.32112, 1.94243)
C (1.40632, 2.45691, 2.64445)
C (1.45126, 1.54389, 3.86293)
C (2.75889, 1.62168, 4.66529)
C (4.00388, 1.69465, 3.83368)
C (4.52480, 0.69519, 3.08828)
C (3.83638, -0.65364, 2.99469)
B (4.47120, -1.71962, 2.01635)
O (5.09725, -1.38858, 0.85231)
O (4.36829, -3.05546, 2.38975)
C (5.81546, 0.99087, 2.40131)
O (6.74941, 0.21649, 2.32475)
C (5.96294, 2.38225, 1.84665)
O (6.65883, 2.57462, 0.69467)
C (5.42114, 3.37374, 2.58033)
O (5.57501, 4.67877, 2.18174)
N (4.51324, 5.54091, 2.64880)
O (4.31770, 6.37439, 1.87364)
C (4.71910, 3.01693, 3.85753)
O (4.72109, 3.74142, 4.83440)
H (-6.66667, 2.69769, -9.19954)
H (-6.20716, 1.03474, -9.56798)
H (-6.52711, 2.15986, -10.86144)
H (-8.65978, 1.23852, -10.89118)
H (-8.94316, 2.26069, -9.52678)
H (-7.99486, -0.63441, -9.51979)
H (-9.63131, -0.11211, -9.17147)
H (-7.19680, -0.02473, -7.39999)
H (-8.84040, -0.47121, -7.03142)
H (-7.67426, 2.27645, -7.11146)
H (-9.40496, 2.04104, -7.39790)
H (-9.45107, 2.28974, -5.09258)
H (-9.19065, 0.52614, -5.19695)
H (-6.76019, 2.23244, -5.17043)
H (-7.04324, 0.65726, -4.42251)
H (-7.54022, 1.55599, -2.41489)
H (-8.71836, 2.66614, -3.13403)
H (-6.62948, 4.06026, -3.84020)
H (-7.23009, 4.08048, -2.16140)
H (-4.66940, 3.02561, -3.30932)
H (-5.42422, 2.00552, -2.10980)
H (-5.28435, 4.92308, -1.40566)
H (-3.74013, 4.04577, -1.45007)
H (-5.36174, 2.31253, 0.02069)
H (-6.02397, 3.88215, 0.43553)
H (-3.42105, 4.46714, 0.72116)
H (-4.41663, 3.80825, 2.06050)
H (-2.23006, 2.62216, 0.43367)
H (-3.52472, 1.50216, 0.83340)
H (-3.14296, 2.55612, 3.31419)
H (-2.23042, 1.19542, 2.71869)
H (-0.89619, 3.09611, 3.76724)
H (-1.24939, 4.02908, 2.32514)
H (0.07650, 2.73802, 0.93923)
H (-0.20851, 1.26300, 1.88662)
H (1.53374, 3.50198, 2.92470)
H (2.15279, 2.15455, 1.90975)
H (0.65892, 1.86528, 4.53798)
H (1.17727, 0.52994, 3.58209)
H (2.82559, 0.77214, 5.34620)
H (2.70248, 2.50541, 5.29423)
H (3.77777, -1.06595, 3.99867)
H (2.83291, -0.46318, 2.61610)
H (5.33534, -2.18893, 0.37685)
H (5.14790, -3.53349, 2.09145)
H (7.51102, 2.97041, 0.89409)
C (9.74078, -3.19831, 3.87744)
C (8.51074, -3.27755, 3.35359)
C (8.27669, -3.81613, 1.96449)
O (7.13151, -3.88281, 1.54766)
C (9.42336, -4.22953, 1.18168)
C (10.65327, -4.14535, 1.70680)
C (10.88839, -3.63280, 3.10088)
O (12.03353, -3.60574, 3.50752)
=====

the morning shakeout podcast show
== Here the entry breaks off for calculated molecules ==
+++
(1)
ORCA calculation (ωB97M-V/def2-TZVPD) on a molecular structure, C3H4O3Rb at a distorted geometry.

```
! RIJCOSX wB97M-V def2-TZVPD def2/J DEFGRID3
* xyz 0 2
O -1.52439 1.93503 0.46600
C -0.46773 1.29797 0.24139
O 0.63519 1.80674 -0.06793
O -0.60445 -0.05527 0.24705
C 0.48463 -0.83272 -0.21897
C 0.13331 -2.26532 -0.24884
H 1.25590 -1.08885 0.63465
H 0.87270 -0.41979 -1.16581
H 0.38574 -2.91707 0.58912
H -0.74416 -2.57166 -0.82456
Rb -0.42674 5.11094 0.34790
*
```

Computed properties:
Energy relative to the best compared isomer or geometry (same formula, charge and spin) = 86.14 kJ/mol
HOMO level (spin up / spin down) = -0.28159 / -0.28102 Ha
Electronic energy = -9971.3891 eV
Kohn-Sham gap (spin up / spin down) = 6.53 / 6.51 eV

=====

(2)
ORCA calculation (ωB97M-V/def2-TZVPD) on 2 unconnected molecules or ions with the total composition C3H10N3P at a distorted geometry.

```
! RIJCOSX wB97M-V def2-TZVPD def2/J DEFGRID3
* xyz 2 1
C 0.99353 -1.83750 0.00479
C -0.08299 0.27277 0.07778
C 1.85121 2.81788 0.10255
N 0.99163 -3.07203 0.29396
N -0.15327 -1.10516 0.01941
N -1.16503 0.85724 0.02046
P -2.95658 0.17347 0.01692
H 1.87298 -1.34372 -0.26745
H 1.19699 2.56752 0.88877
H 2.90917 2.63612 0.10724
H 1.34334 3.40118 -0.68989
H 1.86144 -3.61093 -0.06543
H 0.23937 -3.56927 0.58638
H -0.95591 -1.55888 0.31003
H -1.23655 1.93976 -0.02118
H -2.96966 -0.04785 -1.38428
H -3.73966 1.47940 -0.00005
*
```

Computed properties:
Energy relative to the best compared isomer or geometry (same formula, charge and spin) = 438.19 kJ/mol
HOMO level (spin up / spin down) = -0.61682 / -0.63521 Ha
Electronic energy = -17009.6560 eV
Kohn-Sham gap (spin up / spin down) = 5.60 / 7.26 eV

=====

(3)
ORCA calculation (ωB97M-V/def2-TZVPD) on 2 unconnected molecules or ions with the total composition C5H5N2 at a distorted geometry.

```
! RIJCOSX wB97M-V def2-TZVPD def2/J DEFGRID3
* xyz 1 1
C 0.17346 2.67268 1.34293
C -1.16540 -0.66293 0.83822
C 0.03247 -1.11019 -1.82897
C 0.66692 -0.67870 -0.66377
C 0.20120 -0.45745 0.64685
N -2.19256 -1.14813 0.85653
N 0.21242 1.59122 0.96282
H -0.14363 3.63903 1.72526
H 0.57591 -1.38248 -2.66068
H -0.94430 -1.49219 -1.87778
H 1.62938 -0.38433 -0.77900
H 0.95412 -0.58651 1.43759
*
```

Computed properties:
Energy relative to the best compared isomer or geometry (same formula, charge and spin) = 188.72 kJ/mol
HOMO level = -0.58307 Ha
Electronic energy = -8234.4903 eV
Kohn-Sham gap = 9.01 eV

=====

(4)
ORCA calculation (ωB97M-V/def2-TZVPD) on a molecular structure, C34H27HgN6O2P at a distorted geometry.

```
! RIJCOSX wB97M-V def2-TZVPD def2/J DEFGRID3
* xyz -1 2
Hg 0.48840 -0.27065 1.41479
C -0.78342 1.83251 5.22329
C -0.68156 1.37856 3.79324
N 0.34058 0.64162 3.38882
N 1.32006 0.29172 4.23051
C 2.39319 -0.20638 3.62598
O 2.58094 -0.22712 2.36654
C 3.37577 -0.80477 4.54508
C 3.29531 -0.59191 5.92149
C 4.14589 -1.25727 6.78027
C 5.08950 -2.14494 6.27948
C 5.19655 -2.33509 4.90999
C 4.35130 -1.66593 4.04645
C -1.62007 1.77394 2.80746
+++

[Attached: calculated molecules]
~~~
Below is a cluster of 4 separate species, C4H16N2O4 in total at a distorted geometry, with properties calculated with ωB97M-V with the def2-TZVPD basis set.

```
26
Properties=species:S:1:pos:R:3:forces:R:3
O 1.310 -0.588 1.778 0.7138 0.3613 -0.9481
C 0.207 -0.771 2.207 -0.1391 0.6076 0.1311
C -1.077 -0.462 1.478 0.5091 0.3393 -2.7312
C -1.577 -1.844 0.926 0.6520 0.6155 2.7198
N -0.758 0.320 0.224 -1.3358 1.0604 1.5336
C -0.804 1.777 0.364 2.6815 1.0118 -1.5333
N -0.423 2.408 -0.956 0.6416 -1.0843 0.5940
H 0.174 -1.209 3.177 -0.7025 -0.6939 1.2760
H -1.790 0.095 2.083 -0.0085 -0.2000 0.1251
H -0.981 -1.966 0.025 -0.7845 -0.6001 -0.1840
H -1.233 -2.531 1.724 -0.2663 -0.4759 -0.6791
H -2.670 -1.912 0.940 0.4102 0.0665 -0.8485
H 0.145 0.035 -0.073 1.1650 -0.1103 -0.3369
H -0.004 2.319 1.055 -1.7505 -1.4661 -0.5199
H -1.800 2.076 0.569 -0.9572 0.1106 0.8968
H -0.651 1.903 -1.809 -0.3486 -0.1275 0.5200
H -0.767 3.341 -1.004 -0.2656 0.5870 -0.1125
H 1.851 -1.476 -1.131 0.2827 0.2760 -0.2249
H 2.757 -0.275 -1.524 -1.1349 -0.5485 -0.1236
O 2.021 -0.852 -1.854 0.4273 -0.2966 0.1807
H 2.383 1.224 0.360 -0.3968 -0.6169 1.1979
H 2.539 1.980 -0.856 -0.1170 0.5074 -0.8217
O 2.851 1.173 -0.458 0.7544 0.5418 -0.0744
H -0.742 -0.976 -1.915 0.4214 -0.0022 -0.1521
H -0.073 -2.094 -2.794 1.1272 0.0674 -0.0722
O -0.887 -1.696 -2.537 -1.5788 0.0695 0.1873
```
Forces are in eV/Å.

Computed properties:
LUMO energy, eV: 0.67
Charge: 0
Structure (SMILES): C[C@@H](C=O)NCN.O.O.O
Spin multiplicity: 1
Frontier orbital gap, hartree: 0.3680
Total energy, eV: -15576.416



Below is a cluster of 4 separate species, C4H16N2O4S in total at a distorted geometry, with properties calculated with ωB97M-V with the def2-TZVPD basis set.

```
27
Properties=species:S:1:pos:R:3:forces:R:3
N 0.902 -0.712 -0.294 -0.8905 -0.7502 -1.2316
C 1.063 0.710 -0.211 -4.5607 0.6801 -2.3441
C 1.870 1.168 0.927 -0.0416 0.3151 2.6658
C 3.357 1.271 0.453 -0.0760 -2.9026 2.6893
S 3.809 -0.646 0.514 1.2359 1.2523 -1.9762
C -0.467 1.303 -0.139 -0.7415 -1.0018 4.1682
N -1.289 0.799 0.967 1.6492 -1.4706 -0.6790
O -0.869 2.236 -0.757 0.0758 1.0109 -1.5480
H 0.968 -1.258 0.556 0.3023 0.3356 -0.1638
H 1.529 -1.029 -0.999 0.4515 -0.9010 -0.0009
H 1.270 1.100 -1.292 0.4489 -0.5388 2.0488
H 1.432 2.101 1.342 0.6171 -0.1306 -0.4384
H 1.593 0.366 1.842 1.3226 2.1055 -2.2644
H 4.108 1.681 1.224 -1.3042 0.0273 -1.8319
H 3.368 1.508 -0.624 0.5904 0.3866 0.8139
H 3.653 -0.812 1.785 -0.2277 0.0693 1.4083
H -2.266 1.159 1.196 2.0539 -0.8448 -1.0532
H -1.023 -0.196 1.276 -1.1722 2.1908 -0.5428
H -3.812 0.576 -1.954 -1.6773 0.5002 3.7164
H -4.006 1.796 -1.164 0.2430 2.1272 0.3958
O -4.231 0.904 -1.005 1.5028 -2.6334 -4.0539
H -1.147 -1.543 -1.550 2.2387 2.7151 0.8135
H -1.325 -2.903 -1.885 -3.1868 2.9871 0.3438
O -1.934 -1.984 -1.739 1.1962 -5.3266 -1.9743
H -2.504 -3.115 0.893 -0.0415 -0.1957 0.4694
H -2.143 -2.104 -0.142 0.2579 -0.0067 0.6962
O -1.905 -2.375 0.779 -0.2661 -0.0003 -0.1272
```
Forces are in eV/Å.
~~~
Summary: "[Putting pressure on myself] is one thing that I found that I did a lot of and I think most runners tend to feel this huge expectation of having to perform. Whereas now, having a daughter, I can say to myself: "You know what? At the end of the day, if I don't run well today, she's not going to care whatsoever. If I run a world record, she doesn't really care; to her, me crossing the finish line is the same whether I run 2:20 in a marathon or 3:50." So I think it's just kind of keeping that reminder that I run because I enjoy it, not because I need to do it to get the reward, or the satisfaction of people complimenting me." It's a pleasure to welcome Tina Muir to the podcast. Muir, a 2:36 marathoner who represented Great Britain at the world half-marathon championships in 2016, gained notoriety last year after announcing that she was going to put her running career on hold after a 9-year battle with amenorrhea. Her story was picked up by Runner's World, ESPNW, and even People magazine, and sparked a conversation—and heightened awareness—around the condition, especially amongst female athletes. In the time since her story broke, Muir has launched a business, Running For Real, and given birth to a baby girl named Bailey. The 29-year-old is eyeing a return to competitive running in the near future. In this episode, we cover a lot of ground, including: — Getting back into running after giving birth to her daughter in January and what she's struggled with since becoming a new mom. — Her decision to "break up" with running last year and the attention it received in the media. — Why she "felt a bit lost" as it related to her running goals after representing Great Britain at the 2016 Half Marathon World Championships. — Reflections on her 9-year battle with amenorrhea and why it's long been a taboo topic amongst female athletes. — Her advice for women who find themselves in a similar situation. — How she felt about her identity—and body image—after she made the decision to stop running. — What she'll do differently as she gets back into training—and her competitive goals for the future. — Dealing with pressure—both external and self-induced—as an athlete and how she's learned to develop a better perspective in that regard. — The decision to start sharing her training on Strava when she got back into running earlier this year. — The disconnect that exists between elite runners and many middle and back-of-the-packers, and what can be done to close the gap. — How her own Running For Real podcast has evolved over the past few years and what she looks for in a potential guest. — A whole lot more. This was a great conversation that touched on a wide range of topics from personal to professional and then some. I appreciate Tina's openness in sharing her experiences with others and I think you'll enjoy the honest insights she provides on her various triumphs, struggles, and the sport of running in general. This episode of the morning shakeout podcast was edited by John Isaac at BaresRecords.com. Complete show notes here: https://www.themorningshakeout.com/podcast-episode-17-with-tina-muir/ Sign up here to get the morning shakeout email newsletter delivered to your inbox every Tuesday morning: www.themorningshakeout.com/subscribe/ Support the morning shakeout on Patreon: www.patreon.com/themorningshakeout